**Brief:**
Your job: duplicate the contents further down exactly.

**Data:**
........
Entry A
Computed, not measured: RbSeI2O after structural relaxation at the PBE-GGA level of DFT.

Results
size of the total moment = 0.00 μB/f.u.

Lattice parameters (Å, degrees): 6.2317 6.2317 3.9231 90.00 90.00 90.00
Last column: nearest neighbours and their distance in Å.
Space group P4/mmm (No. 123)
One atom of each set of equivalent atoms:
Rb 0.0000 0.0000 0.0000 x1  8 I 3.68, 2 Rb 3.92
Se 0.5000 0.5000 0.5000 x1  2 O 1.96
I 0.0000 0.5000 0.5000 x2  2 Se 3.12
O 0.5000 0.5000 0.0000 x1  2 Se 1.96

---

Entry B
Computed, not measured: RbSeI2O after structural relaxation at the PBE-GGA level of DFT.

Results
size of the total moment = 0.18 μB/f.u.

Lattice parameters (Å, degrees): 6.6653 6.6653 4.1854 90.00 90.00 90.00
Last column: nearest neighbours and their distance in Å.
Space group P4/mmm (No. 123)
One atom of each set of equivalent atoms:
Rb 0.0000 0.0000 0.0000 x1  2 O 2.09
Se 0.5000 0.5000 0.5000 x1  8 I 3.94, 2 Se 4.19
I 0.0000 0.5000 0.0000 x2  2 Rb 3.33
O 0.0000 0.0000 0.5000 x1  2 Rb 2.09

---

Of them, entry B has the lowest stability.

---

Entry A
Computed, not measured: RbSiIO2 after structural relaxation at the PBE-GGA level of DFT.

Results
size of the total moment = 0.68 μB/f.u.

Lattice parameters (Å, degrees): 4.4989 4.4989 6.6974 90.00 90.00 90.00
Last column: nearest neighbours and their distance in Å.
Space group P4/mmm (No. 123)
One atom of each set of equivalent atoms:
Rb 0.0000 0.0000 0.0000 x1  4 O 2.25
Si 0.5000 0.5000 0.5000 x1  4 I 3.18
I 0.0000 0.0000 0.5000 x1  4 Si 3.18, 2 Rb 3.35
O 0.0000 0.5000 0.0000 x2  2 Rb 2.25

---

Entry B
Computed, not measured: RbSiIO2 after structural relaxation at the PBE-GGA level of DFT.

Results
size of the total moment = 0.24 μB/f.u.

Lattice parameters (Å, degrees): 4.1743 4.1743 5.4205 90.00 90.00 90.00
Last column: nearest neighbours and their distance in Å.
Space group P4/mmm (No. 123)
One atom of each set of equivalent atoms:
Rb 0.0000 0.0000 0.0000 x1  4 I 2.95
Si 0.5000 0.5000 0.5000 x1  4 O 2.09
I 0.5000 0.5000 0.0000 x1  2 Si 2.71, 4 Rb 2.95
O 0.0000 0.5000 0.5000 x2  2 Si 2.09

---

Of them, entry A has the lowest stability.

---

Entry A
Computed, not measured: RbSiI2O after structural relaxation at the PBE-GGA level of DFT.

Results
size of the total moment = 0.00 μB/f.u.

Lattice parameters (Å, degrees): 6.4894 6.4894 4.2140 90.00 90.00 90.00
Last column: nearest neighbours and their distance in Å.
Space group P4/mmm (No. 123)
One atom of each set of equivalent atoms:
Rb 0.0000 0.0000 0.0000 x1  2 O 2.11
Si 0.5000 0.5000 0.5000 x1  8 I 3.87, 2 Si 4.21
I 0.0000 0.5000 0.0000 x2  2 Rb 3.24
O 0.0000 0.0000 0.5000 x1  2 Rb 2.11

---

Entry B
Computed, not measured: RbSiI2O after structural relaxation at the PBE-GGA level of DFT.

Results
size of the total moment = 0.00 μB/f.u.

Lattice parameters (Å, degrees): 6.1993 6.1993 3.6361 90.00 90.00 90.00
Last column: nearest neighbours and their distance in Å.
Space group P4/mmm (No. 123)
One atom of each set of equivalent atoms:
Rb 0.0000 0.0000 0.0000 x1  8 I 3.59, 2 Rb 3.64
Si 0.5000 0.5000 0.5000 x1  2 O 1.82
I 0.0000 0.5000 0.5000 x2  2 Si 3.10
O 0.5000 0.5000 0.0000 x1  2 Si 1.82

---

Of them, entry A has the lowest stability.

---

Entry A
Computed, not measured: RbSnI2O after structural relaxation at the PBE-GGA level of DFT.

Results
size of the total moment = 0.46 μB/f.u.

Lattice parameters (Å, degrees): 6.5325 6.5325 4.4089 90.00 90.00 90.00
Last column: nearest neighbours and their distance in Å.
Space group P4/mmm (No. 123)
One atom of each set of equivalent atoms:
Rb 0.0000 0.0000 0.0000 x1  2 O 2.20
Sn 0.5000 0.5000 0.5000 x1  8 I 3.94, 2 Sn 4.41
I 0.0000 0.5000 0.0000 x2  2 Rb 3.27
O 0.0000 0.0000 0.5000 x1  2 Rb 2.20

---

Entry B
Computed, not measured: RbSnI2O after structural relaxation at the PBE-GGA level of DFT.

Results
size of the total moment = 0.00 μB/f.u.

Lattice parameters (Å, degrees): 6.3949 6.3949 4.1416 90.00 90.00 90.00
........

**Solution:**
Entry A
Computed, not measured: RbSeI2O after structural relaxation at the PBE-GGA level of DFT.

Results
size of the total moment = 0.00 μB/f.u.

Lattice parameters (Å, degrees): 6.2317 6.2317 3.9231 90.00 90.00 90.00
Last column: nearest neighbours and their distance in Å.
Space group P4/mmm (No. 123)
One atom of each set of equivalent atoms:
Rb 0.0000 0.0000 0.0000 x1  8 I 3.68, 2 Rb 3.92
Se 0.5000 0.5000 0.5000 x1  2 O 1.96
I 0.0000 0.5000 0.5000 x2  2 Se 3.12
O 0.5000 0.5000 0.0000 x1  2 Se 1.96

---

Entry B
Computed, not measured: RbSeI2O after structural relaxation at the PBE-GGA level of DFT.

Results
size of the total moment = 0.18 μB/f.u.

Lattice parameters (Å, degrees): 6.6653 6.6653 4.1854 90.00 90.00 90.00
Last column: nearest neighbours and their distance in Å.
Space group P4/mmm (No. 123)
One atom of each set of equivalent atoms:
Rb 0.0000 0.0000 0.0000 x1  2 O 2.09
Se 0.5000 0.5000 0.5000 x1  8 I 3.94, 2 Se 4.19
I 0.0000 0.5000 0.0000 x2  2 Rb 3.33
O 0.0000 0.0000 0.5000 x1  2 Rb 2.09

---

Of them, entry B has the lowest stability.

---

Entry A
Computed, not measured: RbSiIO2 after structural relaxation at the PBE-GGA level of DFT.

Results
size of the total moment = 0.68 μB/f.u.

Lattice parameters (Å, degrees): 4.4989 4.4989 6.6974 90.00 90.00 90.00
Last column: nearest neighbours and their distance in Å.
Space group P4/mmm (No. 123)
One atom of each set of equivalent atoms:
Rb 0.0000 0.0000 0.0000 x1  4 O 2.25
Si 0.5000 0.5000 0.5000 x1  4 I 3.18
I 0.0000 0.0000 0.5000 x1  4 Si 3.18, 2 Rb 3.35
O 0.0000 0.5000 0.0000 x2  2 Rb 2.25

---

Entry B
Computed, not measured: RbSiIO2 after structural relaxation at the PBE-GGA level of DFT.

Results
size of the total moment = 0.24 μB/f.u.

Lattice parameters (Å, degrees): 4.1743 4.1743 5.4205 90.00 90.00 90.00
Last column: nearest neighbours and their distance in Å.
Space group P4/mmm (No. 123)
One atom of each set of equivalent atoms:
Rb 0.0000 0.0000 0.0000 x1  4 I 2.95
Si 0.5000 0.5000 0.5000 x1  4 O 2.09
I 0.5000 0.5000 0.0000 x1  2 Si 2.71, 4 Rb 2.95
O 0.0000 0.5000 0.5000 x2  2 Si 2.09

---

Of them, entry A has the lowest stability.

---

Entry A
Computed, not measured: RbSiI2O after structural relaxation at the PBE-GGA level of DFT.

Results
size of the total moment = 0.00 μB/f.u.

Lattice parameters (Å, degrees): 6.4894 6.4894 4.2140 90.00 90.00 90.00
Last column: nearest neighbours and their distance in Å.
Space group P4/mmm (No. 123)
One atom of each set of equivalent atoms:
Rb 0.0000 0.0000 0.0000 x1  2 O 2.11
Si 0.5000 0.5000 0.5000 x1  8 I 3.87, 2 Si 4.21
I 0.0000 0.5000 0.0000 x2  2 Rb 3.24
O 0.0000 0.0000 0.5000 x1  2 Rb 2.11

---

Entry B
Computed, not measured: RbSiI2O after structural relaxation at the PBE-GGA level of DFT.

Results
size of the total moment = 0.00 μB/f.u.

Lattice parameters (Å, degrees): 6.1993 6.1993 3.6361 90.00 90.00 90.00
Last column: nearest neighbours and their distance in Å.
Space group P4/mmm (No. 123)
One atom of each set of equivalent atoms:
Rb 0.0000 0.0000 0.0000 x1  8 I 3.59, 2 Rb 3.64
Si 0.5000 0.5000 0.5000 x1  2 O 1.82
I 0.0000 0.5000 0.5000 x2  2 Si 3.10
O 0.5000 0.5000 0.0000 x1  2 Si 1.82

---

Of them, entry A has the lowest stability.

---

Entry A
Computed, not measured: RbSnI2O after structural relaxation at the PBE-GGA level of DFT.

Results
size of the total moment = 0.46 μB/f.u.

Lattice parameters (Å, degrees): 6.5325 6.5325 4.4089 90.00 90.00 90.00
Last column: nearest neighbours and their distance in Å.
Space group P4/mmm (No. 123)
One atom of each set of equivalent atoms:
Rb 0.0000 0.0000 0.0000 x1  2 O 2.20
Sn 0.5000 0.5000 0.5000 x1  8 I 3.94, 2 Sn 4.41
I 0.0000 0.5000 0.0000 x2  2 Rb 3.27
O 0.0000 0.0000 0.5000 x1  2 Rb 2.20

---

Entry B
Computed, not measured: RbSnI2O after structural relaxation at the PBE-GGA level of DFT.

Results
size of the total moment = 0.00 μB/f.u.

Lattice parameters (Å, degrees): 6.3949 6.3949 4.1416 90.00 90.00 90.00